**Source:**
=====
Computed, not measured: an optimized crystal structure of DyNpP2Rh5 at the PBE level of DFT.

abc: 4.004 4.004 10.772
angles: 90.00 90.00 90.00
Last column: magnetic moment on the atom in μB.
Positions (direct):
Dy 0.500 0.500 0.500  0.02
Np 0.000 0.000 0.000  3.28
P 0.000 0.000 0.709  0.02
P 0.000 0.000 0.291  0.02
Rh 0.000 0.000 0.500  0.03
Rh 0.000 0.500 0.813  -0.12
Rh 0.500 0.000 0.187  -0.12
Rh 0.000 0.500 0.187  -0.12
Rh 0.500 0.000 0.813  -0.12

Results
theoretical density	9.38	g/cm3
ΔE_f	-0.47	eV/atom
density of states at the Fermi level	10.44	states/eV per cell

* * * * *

# 1
A plane-wave DFT calculation with PBE was carried out for crystalline KCrTe at its relaxed geometry.

Computed properties:
Theoretical density   3.97 g/cm³
ΔE_f (raw)   0.013 eV/atom
Offset from the most stable computed form   20.9 kJ/mol of atoms
V   365.4 Å³ per cell

```
data_KCrTe
_chemical_formula_sum 'K4 Cr4 Te4'
_cell_length_a 7.149
_cell_length_b 7.149
_cell_length_c 7.149
_cell_angle_alpha 90.00
_cell_angle_beta 90.00
_cell_angle_gamma 90.00
_symmetry_space_group_name_H-M 'F -4 3 m'
_symmetry_Int_Tables_number 216
_symmetry_space_group_name_Hall 'F -4 2 3'
loop_
_atom_site_label
_atom_site_type_symbol
_atom_site_fract_x
_atom_site_fract_y
_atom_site_fract_z
K1 K 0.000 0.000 0.000
Cr1 Cr 0.250 0.250 0.250
Te1 Te 0.000 0.000 0.500
```

***

# 2
A plane-wave DFT calculation with PBE was carried out for crystalline K2CrTe at its relaxed geometry.

Computed properties:
Theoretical density   3.17 g/cm³
ΔE_f (raw)   0.112 eV/atom
V   540.0 Å³ per cell

```
data_K2CrTe
_chemical_formula_sum 'K8 Cr4 Te4'
_cell_length_a 8.143
_cell_length_b 8.143
_cell_length_c 8.143
_cell_angle_alpha 90.00
_cell_angle_beta 90.00
_cell_angle_gamma 90.00
_symmetry_space_group_name_H-M 'F -4 3 m'
_symmetry_Int_Tables_number 216
_symmetry_space_group_name_Hall 'F -4 2 3'
loop_
_atom_site_label
_atom_site_type_symbol
_atom_site_fract_x
_atom_site_fract_y
_atom_site_fract_z
K1 K 0.000 0.000 0.000
K2 K 0.250 0.250 0.250
Cr1 Cr 0.250 0.250 0.750
Te1 Te 0.000 0.000 0.500
```

* * * * *

A geometry-optimized Li2HfNb structure. Source: Alexandria, functional PBE-GGA.

```
data_Li2HfNb
_chemical_formula_sum 'Li8 Hf4 Nb4'
_cell_length_a 6.4352
_cell_length_b 6.4352
_cell_length_c 6.4352
_cell_angle_alpha 90.00
_cell_angle_beta 90.00
_cell_angle_gamma 90.00
_symmetry_space_group_name_H-M 'F m -3 m'
_symmetry_Int_Tables_number 225
_symmetry_space_group_name_Hall '-F 4 2 3'
loop_
_atom_site_label
_atom_site_fract_x
_atom_site_fract_y
_atom_site_fract_z
Li1 0.2500 0.2500 0.2500
Hf1 0.0000 0.0000 0.0000
Nb1 0.0000 0.0000 0.5000
```

Calculated formation energy (eV/atom): 0.491
Density (Mg/m³): 7.11
ΔE to the lowest computed polymorph (meV/atom): 0


A geometry-optimized LiHfNb structure. Source: Alexandria, functional PBE-GGA.

```
data_LiHfNb
_chemical_formula_sum 'Li4 Hf4 Nb4'
_cell_length_a 9.7161
_cell_length_b 4.8341
_cell_length_c 5.5316
_cell_angle_alpha 90.00
_cell_angle_beta 123.34
_cell_angle_gamma 90.00
_symmetry_space_group_name_H-M 'C 1 2/m 1'
_symmetry_Int_Tables_number 12
_symmetry_space_group_name_Hall '-C 2y'
loop_
_atom_site_label
_atom_site_fract_x
_atom_site_fract_y
_atom_site_fract_z
Li1 0.1346 0.0000 0.0786
Hf1 0.1795 0.0000 0.6152
Nb1 0.0319 0.5000 0.7664
```

Calculated formation energy (eV/atom): 0.267
Density (Mg/m³): 8.52
ΔE to the lowest computed polymorph (meV/atom): 158


A geometry-optimized LiHfNb structure. Source: Alexandria, functional PBE-GGA.

```
data_LiHfNb
_chemical_formula_sum 'Li4 Hf4 Nb4'
_cell_length_a 3.0009
_cell_length_b 15.9270
_cell_length_c 4.9888
_cell_angle_alpha 90.00
_cell_angle_beta 90.00
_cell_angle_gamma 90.00
_symmetry_space_group_name_H-M 'C m c 21'
_symmetry_Int_Tables_number 36
_symmetry_space_group_name_Hall 'C 2c -2'
loop_
_atom_site_label
_atom_site_fract_x
_atom_site_fract_y
_atom_site_fract_z
Li1 0.0000 0.2493 0.0000
Hf1 0.0000 0.4232 0.6149
Nb1 0.0000 0.0848 0.6142
```
=====

**Activity:**
It remains to reproduce the calculation results further above with every line break kept.

**Reply:**
Computed, not measured: an optimized crystal structure of DyNpP2Rh5 at the PBE level of DFT.

abc: 4.004 4.004 10.772
angles: 90.00 90.00 90.00
Last column: magnetic moment on the atom in μB.
Positions (direct):
Dy 0.500 0.500 0.500  0.02
Np 0.000 0.000 0.000  3.28
P 0.000 0.000 0.709  0.02
P 0.000 0.000 0.291  0.02
Rh 0.000 0.000 0.500  0.03
Rh 0.000 0.500 0.813  -0.12
Rh 0.500 0.000 0.187  -0.12
Rh 0.000 0.500 0.187  -0.12
Rh 0.500 0.000 0.813  -0.12

Results
theoretical density	9.38	g/cm3
ΔE_f	-0.47	eV/atom
density of states at the Fermi level	10.44	states/eV per cell

* * * * *

# 1
A plane-wave DFT calculation with PBE was carried out for crystalline KCrTe at its relaxed geometry.

Computed properties:
Theoretical density   3.97 g/cm³
ΔE_f (raw)   0.013 eV/atom
Offset from the most stable computed form   20.9 kJ/mol of atoms
V   365.4 Å³ per cell

```
data_KCrTe
_chemical_formula_sum 'K4 Cr4 Te4'
_cell_length_a 7.149
_cell_length_b 7.149
_cell_length_c 7.149
_cell_angle_alpha 90.00
_cell_angle_beta 90.00
_cell_angle_gamma 90.00
_symmetry_space_group_name_H-M 'F -4 3 m'
_symmetry_Int_Tables_number 216
_symmetry_space_group_name_Hall 'F -4 2 3'
loop_
_atom_site_label
_atom_site_type_symbol
_atom_site_fract_x
_atom_site_fract_y
_atom_site_fract_z
K1 K 0.000 0.000 0.000
Cr1 Cr 0.250 0.250 0.250
Te1 Te 0.000 0.000 0.500
```

***

# 2
A plane-wave DFT calculation with PBE was carried out for crystalline K2CrTe at its relaxed geometry.

Computed properties:
Theoretical density   3.17 g/cm³
ΔE_f (raw)   0.112 eV/atom
V   540.0 Å³ per cell

```
data_K2CrTe
_chemical_formula_sum 'K8 Cr4 Te4'
_cell_length_a 8.143
_cell_length_b 8.143
_cell_length_c 8.143
_cell_angle_alpha 90.00
_cell_angle_beta 90.00
_cell_angle_gamma 90.00
_symmetry_space_group_name_H-M 'F -4 3 m'
_symmetry_Int_Tables_number 216
_symmetry_space_group_name_Hall 'F -4 2 3'
loop_
_atom_site_label
_atom_site_type_symbol
_atom_site_fract_x
_atom_site_fract_y
_atom_site_fract_z
K1 K 0.000 0.000 0.000
K2 K 0.250 0.250 0.250
Cr1 Cr 0.250 0.250 0.750
Te1 Te 0.000 0.000 0.500
```

* * * * *

A geometry-optimized Li2HfNb structure. Source: Alexandria, functional PBE-GGA.

```
data_Li2HfNb
_chemical_formula_sum 'Li8 Hf4 Nb4'
_cell_length_a 6.4352
_cell_length_b 6.4352
_cell_length_c 6.4352
_cell_angle_alpha 90.00
_cell_angle_beta 90.00
_cell_angle_gamma 90.00
_symmetry_space_group_name_H-M 'F m -3 m'
_symmetry_Int_Tables_number 225
_symmetry_space_group_name_Hall '-F 4 2 3'
loop_
_atom_site_label
_atom_site_fract_x
_atom_site_fract_y
_atom_site_fract_z
Li1 0.2500 0.2500 0.2500
Hf1 0.0000 0.0000 0.0000
Nb1 0.0000 0.0000 0.5000
```

Calculated formation energy (eV/atom): 0.491
Density (Mg/m³): 7.11
ΔE to the lowest computed polymorph (meV/atom): 0


A geometry-optimized LiHfNb structure. Source: Alexandria, functional PBE-GGA.

```
data_LiHfNb
_chemical_formula_sum 'Li4 Hf4 Nb4'
_cell_length_a 9.7161
_cell_length_b 4.8341
_cell_length_c 5.5316
_cell_angle_alpha 90.00
_cell_angle_beta 123.34
_cell_angle_gamma 90.00
_symmetry_space_group_name_H-M 'C 1 2/m 1'
_symmetry_Int_Tables_number 12
_symmetry_space_group_name_Hall '-C 2y'
loop_
_atom_site_label
_atom_site_fract_x
_atom_site_fract_y
_atom_site_fract_z
Li1 0.1346 0.0000 0.0786
Hf1 0.1795 0.0000 0.6152
Nb1 0.0319 0.5000 0.7664
```

Calculated formation energy (eV/atom): 0.267
Density (Mg/m³): 8.52
ΔE to the lowest computed polymorph (meV/atom): 158


A geometry-optimized LiHfNb structure. Source: Alexandria, functional PBE-GGA.

```
data_LiHfNb
_chemical_formula_sum 'Li4 Hf4 Nb4'
_cell_length_a 3.0009
_cell_length_b 15.9270
_cell_length_c 4.9888
_cell_angle_alpha 90.00
_cell_angle_beta 90.00
_cell_angle_gamma 90.00
_symmetry_space_group_name_H-M 'C m c 21'
_symmetry_Int_Tables_number 36
_symmetry_space_group_name_Hall 'C 2c -2'
loop_
_atom_site_label
_atom_site_fract_x
_atom_site_fract_y
_atom_site_fract_z
Li1 0.0000 0.2493 0.0000
Hf1 0.0000 0.4232 0.6149
Nb1 0.0000 0.0848 0.6142
```